Posted by Peter S. on November 10, 2003, at 21:37:13
In reply to Re: Lamictal + Prozac, posted by Houston on November 7, 2003, at 22:19:05
Hi Houston,
Do you take your Lamictal all at once? It gives me a great boost (high energy) in the morning and then starts to wear off. I take 50mg and have tried to go higher but it doesn't seem to make a huge difference. Does the Lamictal seem to have an immediate effect? It kicks in for me about an hour after I take it. I'm also taking Lexapro and Wellbutrin which don't seem to do a lot.
> > Hi there.
> I have been on lamictal for about seven weeks now. It was great the first four weeks until we upped the dose to 150 which sent me spiraling into deep depression. I could not stop crying and I had fleeting thoughts of suicide which I would have never carried out...but it scared me that I thought of them. So they reduced my dosage to 100 and added 20 of prozac. I haven't been better in at least 10 years and I'm only 31!
> >
> > Greetings Ronald old chum!
> >
> > Let's start with the depression;around six months ago, if you recall,I'd relapsed badly and slid into a dangerous mixed-state.This was due to a combination of ugly factors,the ugliest of which was a parent having been diagnosed with brain cancer, unrelenting rain,chronic body-pain(fibromyalgia type-stuff),numerous med. failures,no job and precious little social contact for three years- and an 'unopposed' SSRI to ensure that I finally blew my lid!!!
> > I had no access to a psych., and looking back, was in pure unadulterated mania-I very nearly did away with myself if I'm honest.After crashing my car at breakneck speed, I found a hospital and begged to be placed on a mood stabilizer... but valproate and lithium made things worse.
> > Then came my nifty little box of Lamictal in the post, and the rest you know.
> > Today,I feel better than I have in years;my mind is sharp and clear, I have ABSOLUTELY no depression to speak of,no swings or dysphoria(I no longer fall into my personal mantrap of fixating on a subject and spinning off into anger) clear plans for the future, a semblance of a social life- and I start a new job next week.I'm actually looking forward to it(inasmuch as anyone looks forward to work!)In short, I feel normal.
> > Lamictal is responsible for my revival, and I thank God I followed my own instincts and placed myself on it.
> > So, currently I'm taking 200mg Lamictal,2mg diazepam,100mg Neurontin at night(neuropathic pain/stiffness), along with just 10mg Amitryptaline for sleep.
**Between two parts of the piece: records of crystals:**
........
# Na2VBO5
Computed PXRD pattern, Cu Ka. Input: a structure optimized by DFT (GGA+U).
Peak positions follow from Bragg's law for the DFT cell and can differ from measured ones.

Top 6 peaks for 10 to 90 degrees two-theta, sorted by position:
2θ 15.7, I 35.0
2θ 16.6, I 65.6
2θ 21.4, I 86.3
2θ 28.1, I 46.7
2θ 41.0, I 100.0
2θ 41.7, I 33.3

Structural model:
```
Na2VBO5
1.0
1.431 -6.643 0.000
1.431 6.643 0.000
0.000 0.000 10.667
Na V B O
4 2 2 10
Direct
0.066 0.934 0.500
0.119 0.881 0.186
0.881 0.119 0.686
0.934 0.066 0.000
0.207 0.793 0.893
0.793 0.207 0.393
0.428 0.572 0.259
0.572 0.428 0.759
0.058 0.942 0.843
0.309 0.691 0.505
0.315 0.685 0.263
0.333 0.667 0.866
0.482 0.518 0.153
0.518 0.482 0.653
0.667 0.333 0.366
0.685 0.315 0.763
0.691 0.309 0.005
0.942 0.058 0.343
```
........
> > The Prozac 'sprinkle' probably amounts to maybe 2mg/4mg max. , meaning I can get over a weeks mileage from a 20mg capsule.As I mentioned before,it feels entirely different with the Lamictal in place-nice little uplift, but not the silly 'high'or irritability it previously caused.
> > This may seem like trying to fix something that ain't broken, but there's reason behind my madness?!Although I have no depression symptoms, my problems begin and end with the weather.After around three weeks of continuous rain and gloom, I begin to slide.It's more a slip towards hypomania than pure depression.Feels like cogs in my head loosing their synchronicity and coming unmeshed.My head hurts,I begin to seriously contemplate jumping on a plane(with hardly any money!)and just flying the hell away to anywhere on earth where there's sunshine.I get frustrated and angry, and spit out sentences like "this stinking ****** country is unfit for human habitation!!You get my drift.Not pleasant.
> > Now I agonized about how to tackle this for some time, and I seem to be defenceless against it.
> > SSRI's(the dreaded enemy)have proven efficacy against SAD(or a downward bipolar seasonal swing)but we all know the risks.I read an up to the minute article yesterday challenging the hypothesis of the long-term destabalizing effects of using(low dose)AD's with BP(with a mood stabilizer of course)- in this study at least, those on concurrent AD's actually fared slightly better.But I think this debate won't be solved for years.
> > In my case,I need to 'marshall my troops' to the North rampart and prepare to fend of(next years)bad weather.I believe that, unfortunately, I will need to risk a low dose AD for as long as I'm stuck in the UK.I seem to have little choice.TCA's sem to be the worst culprits for precipitating mania, and(low-dose) Prozac actually compares quite well all in all(Zoloft one of the worst, as we both know!!)
> > Feeling normal right now is a good starting point to gauge my reactions-any irritability or aberrant thoughts, and Prozac gets the boot.
> > A retrial of lithium in combo with Lamictal is then an option, and then failing that,I'd have no qualms in trying an MAOI.But I don't think it'll come to that.There's also Topomax, but that doesn't really grab me either.
> > I like the idea of this ENADA stuff, although I haven't done too much research yet.I may well give it a whirl, and if it feels good, who knows?
> > By the way, our old friend SAM-E doesn't mix with Lamictal AT ALL- sends me clawing up the wall straightaway!
> > My med regime is doing it's job perfectly right now, but like you, I'm always looking ahead in case of pitfalls.Fingers crossed.
> > What are your personal 'med. contingency' plans?
> > I know you bottomed out with Lamictal once on silly doses, but have you ever thought of a re-trial(like Amy)?At least we both have options still.
> > Anyway, glad you're feeling well over there, and keep me posted with your progress.Keep bouncing any thoughts, advice and ideas too!!Always welcome.
> >
> >
> > Col.
> >
> >
poster:Peter S.